Friday, October 05, 2018


This post, 2017 – December Holidiva Day -  was written by Diva Glinda/AKA Annie in Austin for the Divas of the Dirt blog.

We Divas of the Dirt sneaked that last garden day into the 2017 schedule in the nick of time. Just a few days later the pleasant gardening weather was gone and the arrival of a cold front, some rain, a touch of frost and a dusting of snow let us know that it really was December. We were all in the mood to go to Buffy’s house for the annual Holidiva Day lunch and the gift-stealing game.

When I arrived hostess Buffy was cooking and Sophia was constructing an enormous salad. Annie, Buffy and Mindy went into the dining room to set the table – Mindy showed off her origami skills by making the napkins into Birds-of-Paradise. Fun!

 The early afternoon sun cast shadows over the room, adding a bit of magic.

We love the traditional Poinsettia cocktails – another Mindy speciality. (Yes, I said speciality instead of specialty… have I watched too much Brit TV of late?)

 Along with Poinsettias Buffy had eggnog and wine. Diva Annie and hostess Buffy raised a toast to friendship. They’ve been part of this group for almost 20 years.

The appetizers this year were brought by me, Glinda. I made a cold crab dip and a hot spinach-artichoke dip with assorted crackers.

We had our favorite cocktails, stuff to munch, and good friends to share them with – Karla, Glinda and Annie are happy to be here. [photo by Diva Mattie]

 Mindy shared hugs with visiting pup Barbie. [photo by Diva Mattie]

 Buffy, Mindy, Annie, Karla, Mattie, Sophia, Glinda and Sugar were all present and ready for lunch. What was on the menu for 2017?
 Sophia likes salads that surprise – in addition to expected salad ingredients like small tomatoes, red onions, croutons and lovely greens this huge bowl had olives, hearts of palm and Ciliegine – those perfect little cherry-sized balls of fresh mozzarella.

 Buffy’s elegant choice of entrée was greeted with delight – Prime Rib Roast. I didn’t write it down, but am pretty sure there was horseradish sauce.

Buffy decided the way to add puffy goodness to Prime Rib would be individual Yorkshire Puddings.

Mattie found a long, slow recipe from Ree Drummond of the Pioneer Woman. Look at these Burgundy Mushrooms, with red wine and dill seed. They cooked for more than nine hours.

Mindy loves roasted vegetables – she made Special Roasted Brussels Sprouts with Balsamic vinegar. 

Calculated molecules that have nothing to do with the article:
********
(1)
103
Properties=species:S:1:pos:R:3 method="wB97M-V/def2-TZVPD" charge=-2 spin_multiplicity=2 lumo_ev="3.88 / 3.87" s2=0.767
K -1.145 -0.602 1.689
N -2.597 0.977 3.747
C -3.471 0.206 4.648
C -3.746 -1.190 4.106
C -2.497 -2.097 4.178
O -2.085 -2.391 5.316
O -1.990 -2.443 3.070
H -2.307 1.840 4.189
H -3.116 1.288 2.928
H -4.425 0.714 4.831
H -2.962 0.101 5.607
H -4.114 -1.130 3.076
H -4.541 -1.641 4.706
C 3.233 -0.883 6.341
C 2.352 -1.823 5.551
O 2.709 -1.729 4.167
P 1.488 -2.054 3.116
O 1.542 -3.677 3.279
C 0.455 -4.403 2.649
C 0.816 -5.869 2.655
O 2.276 -1.785 1.732
C 3.457 -2.501 1.333
C 3.781 -2.114 -0.091
H 2.992 -0.945 7.405
H 3.084 0.144 6.005
H 4.285 -1.141 6.204
H 1.294 -1.571 5.682
H 2.487 -2.857 5.879
H 0.318 -4.048 1.622
H -0.470 -4.197 3.184
H 1.737 -6.043 2.091
H 0.010 -6.449 2.199
H 0.963 -6.222 3.677
H 3.271 -3.572 1.428
H 4.276 -2.238 2.006
H 2.946 -2.337 -0.758
H 4.666 -2.653 -0.437
H 3.980 -1.042 -0.156
C 1.198 5.677 -5.728
C 0.876 4.626 -4.695
C 1.008 4.883 -3.340
C 0.724 3.920 -2.376
C 0.946 4.306 -0.935
C 0.290 2.634 -2.770
Te 0.095 1.188 -1.134
N -0.969 -0.602 -0.870
C -1.950 -0.801 -1.724
O -2.322 -0.108 -2.700
C -2.713 -2.120 -1.505
C -2.648 -2.941 -0.375
C -3.359 -4.133 -0.318
C -4.146 -4.551 -1.380
C -4.225 -3.741 -2.504
C -3.525 -2.546 -2.555
C 1.480 -0.124 -2.419
C 1.117 -1.401 -2.851
C 1.989 -2.218 -3.560
C 3.271 -1.772 -3.846
C 3.659 -0.512 -3.412
C 2.783 0.318 -2.704
C 3.297 1.680 -2.283
C 0.167 2.358 -4.147
C -0.242 1.026 -4.723
C 0.453 3.365 -5.071
H 1.366 6.648 -5.261
H 0.383 5.783 -6.447
H 2.098 5.413 -6.290
H 1.344 5.864 -3.017
H 1.299 5.336 -0.868
H 1.693 3.666 -0.450
H 0.023 4.218 -0.364
H -2.070 -2.702 0.512
H -3.298 -4.732 0.583
H -4.692 -5.484 -1.330
H -4.842 -4.041 -3.344
H -3.584 -1.893 -3.416
H 0.123 -1.761 -2.631
H 1.664 -3.202 -3.882
H 3.965 -2.399 -4.394
H 4.666 -0.159 -3.619
H 4.387 1.675 -2.223
H 2.908 1.977 -1.306
H 3.000 2.457 -2.992
H -0.877 0.471 -4.037
H 0.636 0.422 -4.967
H -0.802 1.186 -5.648
H 0.336 3.139 -6.128
N 2.664 1.534 2.155
H 2.645 0.619 2.594
H 2.472 1.363 1.172
H 1.853 2.041 2.493
N -5.295 5.711 1.651
C -4.509 4.968 1.208
C -3.565 4.078 0.681
C -3.626 3.623 -0.686
C -2.699 2.754 -1.192
C -1.623 2.254 -0.401
C -1.536 2.738 0.932
C -2.455 3.608 1.467
H -4.435 3.974 -1.317
H -2.789 2.413 -2.219
H -0.696 2.449 1.564
H -2.337 3.956 2.489

=====

(2)
105
Properties=species:S:1:pos:R:3 method="wB97M-V/def2-TZVPD" charge=+1 spin_multiplicity=2 lumo_ev="-3.69 / -3.22" s2=0.758
V -0.502 -1.258 0.517
O -4.258 -0.527 2.014
C -3.426 -0.814 1.198
O -2.122 -0.750 1.466
C -3.745 -1.189 -0.225
C -2.932 -0.330 -1.214
C -3.586 -0.323 -2.580
C -3.393 -1.800 -3.004
C -2.507 -2.348 -1.888
O -1.748 -1.169 -1.462
C -3.331 -2.649 -0.633
C -2.470 -3.378 0.370
O -2.766 -4.317 1.030
O -1.187 -2.855 0.404
H -4.814 -1.054 -0.378
H -2.601 0.631 -0.836
H -4.629 -0.015 -2.536
H -3.052 0.352 -3.247
H -4.331 -2.353 -3.056
H -2.899 -1.882 -3.970
H -1.827 -3.128 -2.194
H -4.198 -3.282 -0.814
N 1.256 -3.912 1.123
********

Annie also used a recipe from Ree Drummond of the Pioneer Woman – yummy Hasselback potatoes.

Karla turned to a recipe from Juniper Hills Farm in Dripping Springs to make Honey Roasted Carrots with walnuts, raisins and mint. 

After lunch, Buffy’s son snapped this photo of the Divas of the Dirt. Thank you!

Mattie knew that pups like special lunches, too. She shared little bits of the prime rib with her dog Barbie, Buffy’s Fredric and the chihuahua sisters Lynda & Luci.

 Watching the dogs cavort with Mattie was great post-lunch entertainment!

 The gifts under the tree were ready for the stealing game.

But first things first – we’d been looking at that sparkly winter-scene cake for a loooong time! Sugar had put together layers of gingerbread cake and cream cheese frosting, topped it with a small gingerbread house and then arranged trees made of inverted rosemary, all presented on a base that looked like a slice of tree trunk… very special.

Look at those layers of gingerbready goodness.

We drew numbers from a bowl and Mattie had first choice. She unwrapped a heavy cast metal figure of a Painted Bunting brought by Buffy.

Mindy chose a burlap bag brought by Mattie and found another bird-themed gift… a metal hummingbird sculpture. (Sorry it’s so hard to see against the dark tree.)

Sophia unveiled an artistic gift brought by Annie – a metal peacock and plant peg. A third metal bird? Is this a theme?

Mattie liked the bunting statue but she didn’t get to keep it… Glinda’s turn was next and she stole the bird.
Since her original choice had been swiped, Mattie went for a new choice – it turned out to be a Blue Butterfly coir mat brought by Glinda.

See that bag Annie is holding in the photo? She thought the hummingbird sculpture was just her style and on the next turn she swiped the hummingbird from Mindy.

With the hummingbird gone, Mindy got a new turn – she unwrapped a set of extremely decorative but rather bossy letters on sticks from Sugar.

Annie didn’t hold onto the swag-bag for too long. Sugar’s turn was next so she restole the hummingbird and with the rules in her favor, got to keep it.

On her next try Annie unwrapped a beautiful ceramic basket brought by Mindy. It also looks like Annie’s style, doesn’t it?

Karla opened a gift from Sophia – a beautiful glass globe. Don’t you love the way the light in the room makes Karla look like a fortune teller looking into a crystal ball?

Finally our hostess Buffy had her turn. (Whenever Buffy sits down she immediately has a lapful of chihuahuas.) She unwrapped a very cool metal hoop-shaped mobile from Karla.

The year ahead would be challenging but our Holidiva Day was pretty perfect. As our musician friend Bob says – Peace and Love, everyone!

This post, 2017 – December Holidiva Day -  was written by Diva Glinda/AKA Annie in Austin for the Divas of the Dirt blog.

Monday, October 01, 2018


This post, 2017 - December Buffy’s Garden Day, was written by Annie in Austin for the Divas of the Dirt blog.

After repeated delays and schedule problems the Divas of the Dirt realized that in order for Buffy to have a turn in 2017 we’d have to try something new. We’d never attempted a garden day in December in previous years, but the weather had been so mild we took a chance. On a lovely day at the beginning of December six Divas were able to meet at Buffy’s house: Buffy, Annie, Mattie, Mindy, Karla and Glinda. Sophia and Sugar couldn’t be there.
Buffy welcomed her friends with a holiday wreath on the door and muffins, coffee and HUGE blueberries at the kitchen table.

Buffy asked us to do some Diva magic in the area around the front entrance. A crepe myrtle and several Indian Hawthorns had been planted there soon after her house was built  but they had first become enormous and then become leggy. Buffy kept the crepe myrtle but had the Hawthorns professionally removed. The newly cleared space awaited us.

Mattie, Buffy, Karla and Mindy made quick work of taming the unruly crepe myrtle in the new bed.

The soil in the new bed was turned and fluffed with compost and other amendments added.

Buffy had collected a number of plants she thought would work in this space including pots of purple-leaved dwarf loropetalum, holly ferns, variegated aspidistra, artemesia and giant liriope. Some plants had been waiting to go in the ground for quite a while and the tops had become lopsided and the roots tangled. Snipping and loosening the roots might help. Glinda gave herself that job while Annie stayed at ground level with weeding tools.

Mindy and Buffy reworked some existing rocks and drainage tiles around the also new steps.

Barbie was interested in the work but stayed safely on the front porch.

Buffy and Frederick pointed out other parts of the garden that could use some help to Annie and Karla.

More crepe murder was planned for some trees that had thrown up spindly branches too close to the house and gutters. Buffy, Mattie, Mindy and Karla form the major pruning team.

Buffy and Mindy don’t hesitate and soon all the trees are pruned.

Next step – the new bed. Quite some time was spent in arranging, rearranging and subtracting the pots. Some would work well, others would not.

How could it be 3:30 already? Actual planting was delayed while the workers had a late lunch – Buffy had made Frito Pie with toppings of shredded cheese, sour cream and scallions with a big green salad on the side.

Buffy made Frito Pie with a base of Frito corn chips under a slow cooked meat sauce. Her favorite recipe called for browned ground beef, ranch style beans and HEB Cook Well & Company 3-step chili mix. It was delicious!

We went back out to plant, making a few final tweaks in the design before the plants went in.

Karla and Annie set to work setting plants in their new locations.

Annie and Karla worked on the agave bed while Glinda used loppers to reduce the crepe myrtle branches for yard pickup. Buffy, Mattie and Mindy looked around for other spots needing weeding or snipping.

This garden day in December idea was a success!

Oh, my – Buffy has produced a masterpiece – a very special Meyers Lemon* pie made with a Martha Stewart recipe [*edit: NOT Key Lime]. The flourless crust was made of ground hazelnuts and the lemon filling was made with Meyer Lemons from Buffy’s own tree!

Egg yolks went into the filling and the whites were used for the mile-high meringue.

We said “Goodbye” a little after 6 PM and also said, “See You Soon!” In a few weeks we’d meet again at Buffy’s house, but instead of wearing garden gloves and carrying pruners we’d be dressed for Holidiva Day and carrying Poinsettias.

This post, 2017 - December Buffy’s Garden Day, was written by Annie in Austin for the Divas of the Dirt blog.